**Brief**
The reader should give back the lines further below up to the one that holds "1.139 -5.625", that line included.

**Listing**
- - -
[1]
The following is a DFT calculation (ωB97M-V with the def2-TZVPD basis set) of 2 unconnected molecules or ions with the total composition C27H39FNO9PS in a non-equilibrium geometry.

```
79
Properties=species:S:1:pos:R:3
C 5.213 -0.892 3.083
C 5.557 0.601 2.498
O 6.509 1.303 3.154
O 4.967 1.231 1.302
C 3.504 1.334 1.417
C 2.688 1.292 -0.004
C 3.544 0.725 -1.282
C 4.161 -0.783 -1.095
C 3.056 -1.994 -1.108
C 2.256 -2.178 0.312
C 0.626 -2.293 0.181
C -0.141 -1.346 -0.963
C -1.756 -1.387 -1.242
C -2.364 -0.396 -2.398
C -3.366 0.694 -1.631
O -3.256 1.988 -2.381
C -2.910 1.029 -0.090
N -3.575 2.256 0.512
C -2.642 -2.441 -0.319
C -1.915 -3.368 0.867
C -0.277 -3.317 1.144
C 0.513 -4.197 2.280
C 1.139 -5.625 1.700
F 0.275 -6.257 0.671
C -2.906 -4.338 1.749
O -2.514 -5.346 2.544
C -4.552 -4.054 1.709
C -5.229 -3.252 0.651
P -7.104 -2.918 0.498
O -7.398 -1.256 -0.027
O -8.048 -3.393 1.884
S -7.732 -4.040 -1.013
C -4.258 -2.616 -0.530
O -4.880 -2.290 -1.697
H 6.030 -1.714 2.794
H 5.252 -0.834 4.275
H 4.161 -1.313 2.790
H 3.013 0.547 2.149
H 3.278 2.403 1.897
H 2.385 2.416 -0.262
H 1.682 0.687 0.048
H 2.775 0.657 -2.193
H 4.359 1.518 -1.644
H 4.833 -0.934 -0.150
H 4.871 -0.970 -2.034
H 2.374 -1.873 -2.052
H 3.672 -3.002 -1.281
H 2.507 -1.291 1.035
H 2.685 -3.158 0.830
H 0.527 -0.623 -1.634
H -1.556 0.150 -3.056
H -3.037 -1.010 -3.166
H -4.493 0.325 -1.615
H -2.350 2.363 -2.110
H -3.096 0.144 0.674
H -1.738 1.234 -0.067
H -4.503 2.462 0.081
H -2.942 3.086 0.529
H -0.112 -4.386 3.270
H 1.452 -3.550 2.615
H 2.206 -5.485 1.209
H 1.321 -6.314 2.652
H -5.208 -4.558 2.562
H -7.013 -0.638 0.684
H -8.701 -2.652 2.083
C 1.990 7.514 -1.158
C 2.481 6.333 -1.974
O 2.179 5.091 -1.312
C 1.006 4.429 -1.428
C -0.171 5.137 -2.023
O 0.892 3.288 -0.980
H 0.903 7.497 -1.040
H 2.272 8.456 -1.635
H 2.418 7.486 -0.150
H 2.095 6.339 -2.998
H 3.572 6.384 -2.055
H -0.750 5.607 -1.224
H -0.798 4.399 -2.536
H 0.094 5.880 -2.773
```

For the total energy, the calculation gives -71372.258 eV. As for the HOMO energy: -8.45 eV. The SMILES is CC(=O)OCCCCCCc1cc(C[C@H](O)CN)c2c(c1CCF)C(=O)C=C(P(O)(O)=S)C2=O.CCOC(C)=O. The total charge is 0.

[2]
The following is a DFT calculation (ωB97M-V with the def2-TZVPD basis set) of a molecular structure, C19H9BrN5OS2W.

```
38
Properties=species:S:1:pos:R:3
W 1.389 -2.936 0.065
Br 2.067 4.791 -1.521
C 0.357 4.057 -1.225
C -0.405 4.502 -0.154
C -1.664 3.962 0.047
C -2.128 2.945 -0.779
C -1.377 2.531 -1.874
C -0.133 3.097 -2.100
N -3.441 2.464 -0.470
N -3.737 1.265 -0.471
C -2.748 0.243 -0.691
C -2.935 -0.652 -1.709
C -2.034 -1.713 -1.946
C -0.964 -1.862 -1.113
O -0.025 -2.843 -1.207
C -0.798 -0.997 -0.016
N 0.264 -1.288 0.803
C 0.461 -0.542 1.889
C -0.388 0.510 2.222
C -1.457 0.809 1.406
C -1.683 0.059 0.237
H -0.030 5.280 0.497
H -2.300 4.321 0.847
H -1.762 1.801 -2.572
H 0.452 2.803 -2.960
H -3.790 -0.526 -2.361
H -2.190 -2.396 -2.770
H 1.311 -0.798 2.510
H -0.199 1.072 3.124
H -2.133 1.610 1.673
S 1.749 -5.068 0.839
C 3.294 -4.410 1.348
C 3.795 -4.871 2.607
N 4.165 -5.258 3.623
C 4.010 -3.500 0.606
S 3.458 -2.861 -0.929
C 5.266 -3.006 1.087
N 6.279 -2.596 1.438
- - -

**Completed**
[1]
The following is a DFT calculation (ωB97M-V with the def2-TZVPD basis set) of 2 unconnected molecules or ions with the total composition C27H39FNO9PS in a non-equilibrium geometry.

```
79
Properties=species:S:1:pos:R:3
C 5.213 -0.892 3.083
C 5.557 0.601 2.498
O 6.509 1.303 3.154
O 4.967 1.231 1.302
C 3.504 1.334 1.417
C 2.688 1.292 -0.004
C 3.544 0.725 -1.282
C 4.161 -0.783 -1.095
C 3.056 -1.994 -1.108
C 2.256 -2.178 0.312
C 0.626 -2.293 0.181
C -0.141 -1.346 -0.963
C -1.756 -1.387 -1.242
C -2.364 -0.396 -2.398
C -3.366 0.694 -1.631
O -3.256 1.988 -2.381
C -2.910 1.029 -0.090
N -3.575 2.256 0.512
C -2.642 -2.441 -0.319
C -1.915 -3.368 0.867
C -0.277 -3.317 1.144
C 0.513 -4.197 2.280
C 1.139 -5.625 1.700